Page 25 of Be The One

A bracing gust of wind blew across the deck, making me shiver slightly. “Let’s go in,” he said, sliding an arm around my shoulders and steering me toward the covered area of the ferry.

The Alaskan ferry system was beloved. It ferried locals and visitors all up and down the coastline. There were different ferries, but they were all similar. There was an exposed open area on two levels, another outside covered area, and an inside space. This ferry had a movie theater, small cabins, and a cafeteria-style eatery with three meals served daily and snacks available.

In the summer, people could set up tents out on the open deck and under the covered area. They even had heat lamps above.

Just getting out from the wind was a relief. I didn’t know what to think about how I felt with Kenan’s arm curled over my shoulders. Even before our kisses and more, he had put his arm around my shoulders plenty of times. I just never thought much of it beyond a friendly gesture.

Now, I savored the feel of it and the sense of being sheltered and protected. He kept walking, coaxing me through a doorway leading into an open dining area by the cafeteria with booths lining the windows.

“Want some hot cocoa?” he asked, waggling his eyebrows.

“I’d love some.”

“You grab a booth, and I’ll get two mugs for us.”

His arm fell away from my shoulders, and I instantly missed the feel of his touch.

“You’re being ridiculous,”I chided myself.

With a mental shake, I scanned the available booths, selecting one toward the center with a good view of the shoreline. Kenan arrived only moments later, handing me one of the cups. The hot cocoa came from one of those automated machines. It wasn’t amazing, but it was pretty good and all part of the ferry experience. I remembered loving these ferry rides with my parents and brother when I was younger. They were distinctly an Alaskan experience.

Kenan sat across from me, one of his knees bumping mine as he slipped into the booth. The subtle, brushing touch sent a jolt of electricity spinning through my body. I curled my hands around the warm paper cup before lifting it and taking a swallow. The rich, chocolatey flavor slid across my tongue. Lowering the cup, I said, “Perfect. Thank you.”

“Of course.”

“Do you know what time we dock in Haines?” I asked.

Kenan shifted to the side slightly to reach down and get his phone out of the pocket of his jeans. His calf bumped mine, and his foot slid between mine. He left it there as he lifted his phone. It was nothing, I told myself. Yet it felt intimate and affectionate to have his foot between mine.

He tapped on his screen. “I saved the schedule.” A second later, he added, “In two hours, there’s a movie tonight. Are we going?”

“If you want to, I’m game.”

“It’s the whole experience, Quinn. We’ve gotta do the movie.” He leaned forward with a grin.

I laughed. “Let’s do it.”

We fell into silence as we sipped our hot cocoa and were looking out the windows when an announcement came over the speakers from the captain. “For your information, a school of Dall’s porpoises is swimming nearby. They’re the fastest porpoises in the world. You can see them out on the main deck.”

“Let’s go.” Kenan waggled his brows.

We hurried toward the deck along with some other passengers. Watching over the edge of the railing, we enjoyed the view of the tiny porpoises as they zipped through the water, curling over the surface and diving down as they zoomed alongside the front of the ferry.

I glanced at Kenan, feeling a rush of joy. I loved seeing wildlife of any kind. I knew he did too. When he smiled down at me, my heart flipped in my chest.

Only moments later, the porpoises zoomed out of view, and we returned inside to reclaim the same booth. “Have you seen those before?” I asked once we were seated again.

Molecular data that have nothing to do with the text.
'''
No. 1
This record from the Open Molecules 2025 dataset describes 2 unconnected molecules or ions with the total composition C46H55N5OP in a non-equilibrium geometry. The level of theory is ωB97M-V/def2-TZVPD.

Results
charge = +1
spin multiplicity = 1
HOMO = -8.93 eV
total energy = -67374.285 eV

Positions of all 108 atoms, in Å:
C (-0.54, -5.01, -4.60)
N (-1.68, -4.59, -3.81)
C (-2.91, -5.28, -4.14)
C (-1.61, -3.51, -2.98)
C (-2.71, -3.12, -2.16)
C (-2.64, -1.96, -1.40)
C (-1.49, -1.14, -1.42)
P (-1.54, 0.48, -0.59)
C (-0.23, 1.36, -1.56)
C (-0.35, 1.62, -2.94)
C (0.68, 2.18, -3.68)
C (1.91, 2.50, -3.06)
N (2.96, 2.96, -3.80)
C (4.21, 3.36, -3.20)
C (2.81, 3.28, -5.20)
C (2.02, 2.30, -1.65)
C (0.96, 1.77, -0.93)
C (-3.03, 1.20, -1.46)
C (-3.72, 2.30, -0.91)
C (-4.71, 2.97, -1.62)
C (-5.02, 2.59, -2.96)
N (-5.86, 3.33, -3.74)
C (-6.08, 3.01, -5.14)
C (-6.69, 4.39, -3.20)
C (-4.39, 1.44, -3.49)
C (-3.43, 0.76, -2.75)
C (-0.37, -1.59, -2.13)
C (-0.43, -2.73, -2.92)
H (0.36, -5.06, -3.99)
H (-0.76, -6.00, -5.00)
H (-0.35, -4.32, -5.44)
H (-3.70, -5.07, -3.41)
H (-3.27, -5.00, -5.14)
H (-2.71, -6.36, -4.14)
H (-3.62, -3.72, -2.13)
H (-3.50, -1.68, -0.80)
H (-1.27, 1.38, -3.47)
H (0.53, 2.36, -4.74)
H (4.53, 2.62, -2.46)
H (4.96, 3.41, -4.00)
H (4.15, 4.35, -2.72)
H (2.36, 2.45, -5.76)
H (2.18, 4.18, -5.36)
H (3.81, 3.48, -5.60)
H (2.95, 2.56, -1.14)
H (1.06, 1.67, 0.16)
H (-3.46, 2.64, 0.09)
H (-5.23, 3.81, -1.17)
H (-5.13, 2.90, -5.67)
H (-6.65, 2.08, -5.26)
H (-6.64, 3.83, -5.58)
H (-6.11, 5.03, -2.53)
H (-7.06, 4.98, -4.05)
H (-7.55, 3.99, -2.65)
H (-4.63, 1.08, -4.49)
H (-2.95, -0.10, -3.21)
H (0.56, -1.02, -2.11)
H (0.44, -3.01, -3.52)
C (3.62, -0.99, 7.21)
N (3.25, -0.58, 5.88)
C (4.19, -0.12, 4.99)
O (5.38, 0.06, 5.23)
C (3.47, 0.13, 3.66)
C (4.09, -0.66, 2.51)
C (5.45, -0.13, 2.11)
C (6.54, -1.01, 2.00)
C (7.81, -0.51, 1.70)
C (7.98, 0.86, 1.46)
C (6.89, 1.73, 1.52)
C (5.62, 1.23, 1.83)
N (2.09, -0.25, 3.96)
C (1.13, -0.15, 3.01)
C (-0.18, -0.60, 3.14)
C (-1.22, -0.47, 2.21)
C (-2.53, -0.99, 2.54)
C (-3.67, -0.75, 1.71)
C (-4.93, -1.26, 2.01)
C (-5.15, -1.97, 3.20)
C (-4.07, -2.20, 4.06)
C (-2.79, -1.76, 3.72)
C (1.93, -0.83, 5.32)
C (1.66, -2.34, 5.26)
C (0.88, -0.12, 6.19)
H (4.69, -0.81, 7.36)
H (3.05, -0.43, 7.96)
H (3.42, -2.06, 7.36)
H (3.52, 1.22, 3.45)
H (4.18, -1.72, 2.83)
H (3.40, -0.63, 1.66)
H (6.38, -2.07, 2.19)
H (8.66, -1.19, 1.65)
H (8.98, 1.26, 1.23)
H (7.01, 2.80, 1.34)
H (4.75, 1.89, 1.87)
H (1.45, 0.32, 2.07)
H (-0.39, -1.09, 4.09)
H (-1.02, 0.12, 1.29)
H (-3.54, -0.13, 0.82)
H (-5.76, -1.09, 1.32)
H (-6.15, -2.33, 3.45)
H (-4.24, -2.73, 5.00)
H (-1.98, -2.01, 4.41)
H (2.50, -2.85, 4.75)
H (1.57, -2.74, 6.28)
H (0.74, -2.56, 4.71)
H (1.21, 0.91, 6.39)
H (-0.09, -0.09, 5.70)
H (0.78, -0.66, 7.14)

No. 2
This record from the Open Molecules 2025 dataset describes a molecular structure, C46H56As2N2O9PbSSiTe in a non-equilibrium geometry. The level of theory is ωB97M-V/def2-TZVPD.

Results
charge = -2
'''

“I’m not sure,” he replied. “Maybe when we were kids. Definitely not on any of our regular fishing trips. What about you?”

“I’m not sure either. Maybe on one of the ferry trips with my parents and brother when I was younger.”

“On a more serious note,” he began a moment later. “Any concerns about this situation with the land?”

I shook my head. “None at all. Legally, we’re in the clear.” I shrugged. “It’s just another business being greedy. It’s not as if Fireweed Industries didn’t do similar things before, especially earlier on. But we currently own the land, and we’re giving it back to the tribe. That’s the way it is. This meeting is just a formality. They filed in court, and it didn’t go anywhere, so they’re trying to negotiate something else. We’re not going for it.”

Kenan cocked his head to the side, studying me for a few beats. “You kick ass,” he said after a long moment.

“I don’t recall kicking any asses,” I teased lightly.